Job:
Next, start at the top of the block further below and return each line, ending with the one that has "**Energy**: -7.8650".
Contents:
********
(1)
Ba3NaY3Si6O20 | PBE-GGA | relaxed

abc: 14.860 23.959 5.590
angles: 90.00 90.00 90.00
Space group Ama2 (No. 40)
Symmetry-distinct sites (fractional):
Ba  0.113  0.243  0.000 [8 per cell]
Ba  0.250  0.079  0.002 [4 per cell]
Na  0.250  0.389  0.067 [4 per cell]
Y  0.000  0.000  0.934 [4 per cell]
Y  0.029  0.109  0.425 [8 per cell]
Si  0.057  0.350  0.466 [8 per cell]
Si  0.138  0.000  0.491 [8 per cell]
Si  0.250  0.177  0.472 [4 per cell]
Si  0.250  0.309  0.521 [4 per cell]
O  0.000  0.170  0.732 [8 per cell]
O  0.030  0.312  0.700 [8 per cell]
O  0.036  0.413  0.558 [8 per cell]
O  0.090  0.442  0.068 [8 per cell]
O  0.106  0.027  0.236 [8 per cell]
O  0.110  0.047  0.695 [8 per cell]
O  0.161  0.152  0.335 [8 per cell]
O  0.165  0.341  0.390 [8 per cell]
O  0.250  0.175  0.762 [4 per cell]
O  0.250  0.246  0.392 [4 per cell]
O  0.250  0.309  0.807 [4 per cell]
O  0.250  0.490  0.989 [4 per cell]

Calculated values
**Energy**: -7.8650 eV/atom

=====

(2)
Ba2Na2Zr2Si6O23 | PBE-GGA | relaxed

abc: 13.333 12.479 16.492
angles: 90.00 128.03 90.00
Space group P2_1/c (No. 14)
Symmetry-distinct sites (fractional):
Ba  0.158  0.040  0.181 [4 per cell]
Ba  0.159  0.039  0.477 [4 per cell]
Na  0.092  0.749  0.546 [4 per cell]
Na  0.431  0.102  0.050 [4 per cell]
Zr  0.083  0.736  0.791 [4 per cell]
Zr  0.422  0.246  0.714 [4 per cell]
Si  0.118  0.022  0.809 [4 per cell]
Si  0.142  0.167  0.680 [4 per cell]
Si  0.145  0.167  0.963 [4 per cell]
Si  0.368  0.690  0.840 [4 per cell]
Si  0.369  0.692  0.024 [4 per cell]
Si  0.500  0.002  0.325 [4 per cell]
O  0.029  0.565  0.763 [4 per cell]
O  0.054  0.245  0.185 [4 per cell]
O  0.057  0.243  0.372 [4 per cell]
O  0.058  0.115  0.565 [4 per cell]
O  0.060  0.113  0.992 [4 per cell]
O  0.125  0.607  0.313 [4 per cell]
O  0.191  0.069  0.764 [4 per cell]
O  0.197  0.071  0.927 [4 per cell]
O  0.213  0.695  0.763 [4 per cell]
O  0.214  0.695  0.948 [4 per cell]
O  0.223  0.602  0.140 [4 per cell]
O  0.226  0.603  0.584 [4 per cell]
O  0.259  0.107  0.380 [4 per cell]
O  0.268  0.233  0.715 [4 per cell]
O  0.276  0.227  0.056 [4 per cell]
O  0.397  0.562  0.832 [4 per cell]
O  0.400  0.566  0.064 [4 per cell]
O  0.414  0.084  0.680 [4 per cell]
O  0.420  0.087  0.233 [4 per cell]
O  0.422  0.716  0.959 [4 per cell]
O  0.440  0.728  0.623 [4 per cell]
O  0.443  0.732  0.316 [4 per cell]
O  0.457  0.086  0.908 [4 per cell]

Calculated values
**Energy**: -7.1079 eV/atom

=====

(3)
BaNaP | PBE-GGA | relaxed

abc: 8.0062 8.0062 4.6998
angles: 90.00 90.00 120.00
Space group P-62m (No. 189)
Symmetry-distinct sites (fractional):
Ba  0.0000  0.4116  0.0000 [3 per cell]
Na  0.0000  0.7579  0.5000 [3 per cell]
P  0.0000  0.0000  0.0000 [1 per cell]
P  0.3333  0.6667  0.5000 [2 per cell]

Calculated values
**Largest piezoelectric modulus**: 0.0 C/m²
**Energy**: -3.6553 eV/atom

=====

(4)
BaNaSn | PBE-GGA | relaxed

abc: 7.700 7.700 7.700
angles: 90.00 90.00 90.00
Space group F-43m (No. 216)
Symmetry-distinct sites (fractional):
Ba  0.000  0.000  0.000 [4 per cell]
Na  0.250  0.250  0.250 [4 per cell]
Sn  0.000  0.000  0.500 [4 per cell]

Calculated values
**Energy**: -2.6002 eV/atom

=====

(5)
Ba3Nb | PBE-GGA | relaxed

abc: 8.912 8.912 8.912
angles: 90.00 90.00 90.00
Space group Fm-3m (No. 225)
Symmetry-distinct sites (fractional):
Ba  0.000  0.000  0.000 [4 per cell]
Ba  0.250  0.250  0.250 [8 per cell]
Nb  0.000  0.000  0.500 [4 per cell]

Calculated values
**Energy**: -3.1788 eV/atom

=====

(6)
BaNdNb4O12 | PBE-GGA | relaxed

abc: 8.055 8.070 8.041
angles: 90.00 90.00 90.00
Space group Cmmm (No. 65)
Symmetry-distinct sites (fractional):
Ba  0.000  0.000  0.000 [2 per cell]
Nd  0.000  0.500  0.500 [2 per cell]
Nb  0.250  0.250  0.252 [8 per cell]
O  0.000  0.247  0.260 [8 per cell]
O  0.234  0.500  0.262 [8 per cell]
O  0.250  0.250  0.000 [4 per cell]
O  0.250  0.250  0.500 [4 per cell]

Calculated values
**Energy**: -8.6339 eV/atom

=====

(7)
BaNb3O6 | PBE-GGA | relaxed
********
Outcome:
(1)
Ba3NaY3Si6O20 | PBE-GGA | relaxed

abc: 14.860 23.959 5.590
angles: 90.00 90.00 90.00
Space group Ama2 (No. 40)
Symmetry-distinct sites (fractional):
Ba  0.113  0.243  0.000 [8 per cell]
Ba  0.250  0.079  0.002 [4 per cell]
Na  0.250  0.389  0.067 [4 per cell]
Y  0.000  0.000  0.934 [4 per cell]
Y  0.029  0.109  0.425 [8 per cell]
Si  0.057  0.350  0.466 [8 per cell]
Si  0.138  0.000  0.491 [8 per cell]
Si  0.250  0.177  0.472 [4 per cell]
Si  0.250  0.309  0.521 [4 per cell]
O  0.000  0.170  0.732 [8 per cell]
O  0.030  0.312  0.700 [8 per cell]
O  0.036  0.413  0.558 [8 per cell]
O  0.090  0.442  0.068 [8 per cell]
O  0.106  0.027  0.236 [8 per cell]
O  0.110  0.047  0.695 [8 per cell]
O  0.161  0.152  0.335 [8 per cell]
O  0.165  0.341  0.390 [8 per cell]
O  0.250  0.175  0.762 [4 per cell]
O  0.250  0.246  0.392 [4 per cell]
O  0.250  0.309  0.807 [4 per cell]
O  0.250  0.490  0.989 [4 per cell]

Calculated values
**Energy**: -7.8650 eV/atom